
Relationship Partner with BPD (Straight and LGBT+) => Romantic Relationship | Conflicted About Continuing, Divorcing/Custody, Co-parenting => Topic started by: Succotash on August 19, 2014, 10:03:46 AM

Title: When lemons cannot make lemonaid ...
Post by: Succotash on August 19, 2014, 10:03:46 AM
  I have made a lifetime of making excuses, telling my kids that Mom is just having a bad day or that we should have done something ... .or not done something to make Mom mad. For years I described life at home like walking on egg shells and bit my tongue to mitigate an argument. I met my wife when she was 13 and I was 14, married at 18 and have been married for 32 years. It was a bit difficult in the beginning but it was not an ideal way to start life out as a couple. We both had pretty bad backgrounds but seemed like this was meant to be. My wife has always had the traits of BPD but I had no idea what that was back then. It is easy to make excuses when you dont want to see the big picture but looking back now ... wow. I just recently came to terms that there is a reason my wife had a disorder that affected her the way it does. She has not been clinically diagnosed but I have read enough to have no doubt. She would rather kill me than go for help so I know that will never be an option with her. Funny thing about therapy is she had told me some 15 years ago I needed to get therapy for me and so off I went to a marriage counselor to see what was wrong with me and to get anti depressant drugs. I was very honest with him as I thought there was merrit to my DW request as I was not without flaws myself. By the third session he told me I was not the one with the real issues and unless my wife agreed to join the therapy there was no need to continue. I wish he had hit me with a hammer!

I realized writing this post I could probalby write a book now so I will try to keep this short   I had figured I could make things work until our youngest daughter was finished with school and on her own. Looking back on that again I am not sure that was the best decission or in the best interest of the kids. My oldest daughter went to Germany as an exchange student her 3rd year of college and I remember her telling me that if her mom and I were still married when she got back she did not know who she would kill first!  You would think I would have delved more on that back then... but at the time my two younger daughters were 8 and 10. Today my oldest daughter is 29 and is expecting her first child ... maybe today... she has written her mom out of her life and cannot tell my wife I even speak to her  ... which I do several times a week. I never thought for a minute my wife would consider me a traitor to her if I speak to the daughter who chooses not to have her mother in her life anymore.

Here is the twist now... .just as my youngest is getting ready to move on with her life and I decided either one last time we can work  the relationship out or go our seperate ways my wife has been diagnosed with a very aggressive breast cancer a few months ago. She does not work and has not for 13 years ( this was to raise the kids ) and I have managed to work two full time jobs pretty much during that time. I work 80 hours Monday through Friday and get roughly 4 hours of sleep a night When she was diagnosed I took FMLA and had quite a bit of time off work as she had 4 surgery's in 3 1/2 months. She wanted to travel 550 miles away to MD Anderson in Houston to get the very best care for her cancer which I totally agreed with. Now that  things are settling a bit and we are just now getting the treatment only an hour from home it is time to catch up the late bills which she now is saying is all my fault for mishandling the money and leaving her with the mess ... .we both knew we would get behind and it was talked about extensively... now once again I am the bad guy who only brings unhappyness and stress to her life

I am so tired of the verbal beatings and occasional physical abuse as well... The last few times we drove to Houston she yelled most of the way there and back... when I asked her about something she said she poured her coke on my head ... as I drove down the interstate at 75 mph... .who does that?  I am sorry this is so long ... I dont talk about this to anyone but I hope someone can relate...   I am just tired.

Title: Re: When lemons cannot make lemonaid ...
Post by: gtrhr on August 20, 2014, 12:23:38 PM
sailorjoe, Thanks for sharing your story.  Sounds like it's been going on for a very long time and she's alienated you and your children.  I admire you for doing what you think is best for your family for all of these years and taking good care of her now during her illness.  I'm at work otherwise I'd write more right now.

Title: Re: When lemons cannot make lemonaid ...
Post by: seeking balance on August 20, 2014, 12:51:31 PM



You have been through so much, and the compassion you have shown for your wife during her cancer is so admirable.

I hope you find you can vent here and even take a step back to figure out how to clear your head so you can accurately move forward in your life.

1.
# C3H8OS

A cluster of 2 separate species, C3H8OS in total at a distorted geometry (ωB97M-V with the def2-TZVPD basis set, OMol25).

Properties
Kohn-Sham gap = 9.6 eV
ΔE to the lowest compared entry with this formula, charge and spin = 29.2 kcal per mole
SMILES string = CC=O.CS
E = -16121.972 eV

```
13
Properties=species:S:1:pos:R:3:forces:R:3
C 1.789898 0.835194 1.538714 0.2432 1.1844 -0.2858
C 1.159062 1.972118 0.721566 0.8320 -1.1984 1.3428
O 0.705145 1.752119 -0.362292 -0.1928 0.9812 -0.1833
H 1.572715 -0.083417 1.000590 0.3256 -0.1825 0.2623
H 1.327581 0.888979 2.518763 -0.1939 -0.3410 0.2555
H 2.871748 1.035003 1.729960 -0.6812 -0.2982 -0.4142
H 1.147204 2.931784 1.313726 -0.2691 -0.0373 -0.9232
C -1.705033 -2.070358 -1.448851 0.4322 0.9504 0.5505
S -1.245908 -0.263539 -2.062131 -0.8726 -1.9827 0.7449
H -1.286955 -3.033036 -1.797044 0.2001 1.0954 -0.9128
H -1.342106 -2.039004 -0.410191 -0.7512 0.0181 -0.1855
H -2.788546 -2.087624 -1.567592 0.2054 -0.2461 0.3904
H -2.204810 0.161786 -1.175214 0.7223 0.0568 -0.6415
```
Forces are in eV/Å.

Mulliken atomic charges, in units of e: -0.819, 0.164, -0.407, 0.232, 0.282, 0.279, 0.283, -0.793, -0.187, 0.326, 0.247, 0.266, 0.127



2.
# C27H27BrMoN4O3S

A structure of composition C27H27BrMoN4O3S (ωB97M-V with the def2-TZVPD basis set, OMol25).

Properties
Net charge = +2
Kohn-Sham gap (spin up / spin down) = 6.5 / 6.5 eV
ΔE to the lowest compared entry with this formula, charge and spin = 26.3 kcal per mole
E = -123260.684 eV

```
64
Properties=species:S:1:pos:R:3:forces:R:3
Mo -0.493999 0.040967 -0.319230 -0.1088 0.5203 -0.3667
Br -3.738587 4.828917 -4.799183 -0.0291 0.0527 -0.0523
C -3.100337 3.759389 -3.403022 0.0524 -0.2478 -0.0020
C -2.896564 4.315182 -2.138204 0.0253 0.0404 0.1203
C -2.432979 3.545068 -1.085167 -0.0371 0.0625 -0.2971
C -2.140701 2.212504 -1.320282 0.1029 -0.1971 0.4192
O -1.689455 1.443253 -0.289925 -0.0058 -0.2295 -0.1439
C -2.341227 1.626896 -2.582278 -0.0583 -0.1407 -0.1139
C -2.254669 0.199153 -2.758790 0.0197 0.1640 0.1071
N -1.613429 -0.590835 -1.959280 0.0987 -0.1984 0.1471
C -1.928696 -1.989391 -1.918192 0.0232 0.1595 -0.0168
C -2.190721 -2.783254 -2.997915 -0.0474 -0.1236 0.0257
C -2.654474 -4.105314 -2.798395 0.0361 0.0925 -0.0096
C -2.887719 -4.580436 -1.539378 0.0165 0.0267 0.0496
C -2.607918 -3.772497 -0.407266 -0.0511 -0.0878 -0.0082
C -2.886585 -4.161965 0.924860 -0.0004 -0.0198 -0.0033
C -2.615871 -3.306242 1.958008 0.0630 0.1043 -0.0788
C -1.982181 -2.085638 1.675001 -0.0724 -0.0720 0.0936
N -1.686433 -1.690705 0.450051 0.1228 0.0737 -0.1179
C -2.065272 -2.494011 -0.602561 0.0109 -0.0378 0.0149
C -2.853844 2.417443 -3.619901 -0.0233 0.2267 0.0535
H -3.117775 5.361636 -1.976816 0.0030 0.0019 -0.0132
H -2.289100 3.972912 -0.103519 0.0036 -0.0445 0.0299
H -2.864961 -0.244831 -3.542201 0.0011 0.0019 -0.0038
H -2.064499 -2.409322 -4.006214 0.0069 0.0216 0.0036
H -2.853519 -4.724916 -3.661334 -0.0049 -0.0091 0.0023
**Back to the entry**

I have no doubt you are tired, exhausted really.  Please do show your self the same kindness and compassion you have shown your family all these years.
